The New Disruptor: Acknowledging the earth-sized elephant in the room – Over Consumption

Pivot… Outside the box… Move the needle… Disruption… Sustainable.
Business buzzwords we’ve heard a lot in recent months, particularly in relation to business and Covid19. One that always bugged me (and I’m not much of a fan of most business buzzwords) is “disruption.” It’s one that is dropped in many business presentations and webinars and is often used alongside “leaders” within their respective sectors. But when I delve further these (often self-professed) “disruptors” or “leaders” are simply driving forward business as usual with only incremental changes in direction. This is particularly profound when it comes to sustainability and business.
But before I proceed, it’s worth reminding ourselves of a couple of definitions; first “disruption”:
“a person or thing that prevents something, especially a system, process, or event, from continuing as usual or as expected”
And secondly; “sustainability”:
“Sustainability focuses on meeting the needs of the present without compromising the ability of future generations to meet their needs.”
Sustainability is an intergenerational responsibility that needs to be taken on by all levels of society, including business and governments. Within the brand licensing industry, the sustainability agenda is moving further up the conversation. While there are some companies making inroads to be truly sustainable, there are many more where this is still used for pure marketing purposes or the shareholder’s CSR check box.
So, we will see a capsule collection of t-shirts or shoes made from recycled bottles, or toys being put into degradable/recyclable packaging and the virtual tapping on the back will reverberate around the trade press or LinkedIn. In the meantime, business is carrying on as usual, profit is still placed before planet and people as we press harder on the accelerator toward 1.5C global temperature rise and beyond.
While many of the moves made by companies are honourable and important incremental changes, they do not go deep enough to enact the systematic changes required to prevent the environmental disaster we are facing and starting to experience. A wise man (Marc Buckley) once said, “if you slow down or reduce your speed while driving on the highway in the wrong direction, you are only going slower in the wrong direction.” We cannot wait for governments to legislate for the changes we need. As businesses, we need to lead the way and be the disruptors to turn our vehicles around and head in another, truly sustainable direction.
To be a disruptor in this multi-billion-dollar industry means addressing the earth-sized elephant in the room – over consumption. Paul Dillinger, vice president of global product innovation at Levis Strauss & Co did just that in a recent interview with Vogue saying, “We should use this painful downtime to think about what we’ve done and accept that these circumstances may have finally ‘right sized’ an industry that lacked the courage or discipline to appropriately manage its own excesses.” Dillinger went on to explain why they are encouraging responsible or mindful shopping, acknowledging the environmental damage jean production has caused, and how they are addressing this via their WellThread initiative.
When we think of disruptors in the consumer products world, Tesla usually jumps to mind having led the way on electric vehicle tech. Another is Patagonia – a brand that for more than 40 years has committed to finding solutions for the environmental crisis, leading the way in the ‘right to repair’, selling second-hand gear, as well as being part of 1% for the planet and supporting the sports activism movement.
Iceland supermarkets – a small player in the UK supermarket realm by comparison but big on its values. They have led the charge removing palm oil and single use plastic from all their own brand ranges and continue to challenge their supply chain to do the same. Their leadership and ‘courage’ in doing what’s right has increased their brand awareness and value among consumers.
Materials data, kept here for reference =
........
IrRu2: calculated PXRD pattern (Cu Kα), based on a GGA-PBE-relaxed structure.
Neutral-atom scattering factors, no anomalous dispersion.

Most intense lines, 2θ from 10° to 90°, in order of rising 2θ:
| d_spacing | 2θ/deg | intensity |
| --- | --- | --- |
| 3.698 | 24.06 | 89 |
| 3.564 | 24.98 | 41 |
| 2.375 | 37.88 | 246 |
| 2.163 | 41.76 | 249 |
| 2.082 | 43.47 | 1000 |
| 1.599 | 57.64 | 144 |
| 1.371 | 68.42 | 172 |
| 1.233 | 77.43 | 181 |
| 1.158 | 83.47 | 201 |
| 1.145 | 84.63 | 146 |

Cell lengths 7.2591, 7.2591, 4.3257 Å; angles 90.00, 90.00, 158.23 degrees
Sites, in units of the cell vectors:
1 Ir 0.1113 0.8887 0.7500
2 Ir 0.8887 0.1113 0.2500
3 Ru 0.2219 0.7781 0.2500
4 Ru 0.4437 0.5563 0.7500
5 Ru 0.5563 0.4437 0.2500
6 Ru 0.7781 0.2219 0.7500

=====

This entry pairs a crystal structure of K2H5Os with its calculated powder diffractogram. Radiation: Cu Kα (λ = 1.5418 Å). Structure: a DFT-relaxed cell (GGA-PBE, Alexandria).

Atomic structure:
```
16
Lattice="7.644 0.000 0.000 0.000 8.298 0.000 -3.728 0.000 4.270" Properties=species:S:1:pos:R:3 pbc="T T T"
K 0.000 1.976 0.000
K 0.000 6.322 0.000
K 3.822 2.173 0.000
K 3.822 6.125 0.000
H -0.247 4.149 1.622
H -2.026 4.149 3.936
H 2.041 0.000 0.517
H 1.757 1.640 1.935
H 1.757 6.658 1.935
H 3.575 0.000 1.622
H 1.795 0.000 3.936
H 5.863 4.149 0.517
H 5.578 2.509 1.935
H 5.578 5.789 1.935
Os -1.730 4.149 2.213
Os 2.091 0.000 2.213
```

Largest 10 diffraction maxima, by angle, 10° ≤ 2θ ≤ 90°:
two_theta  d [Å]  Rel. int.  h k l
18.76  4.731  93  1 1 0
19.04  4.661  100  1 1 -1
30.03  2.976  61  0 2 1
31.06  2.879  28  2 0 0
31.81  2.813  80  2 0 -2
35.10  2.557  21  1 1 1
35.58  2.523  18  1 1 -2
36.02  2.493  23  1 3 0
38.66  2.329  19  3 1 -2
47.56  1.912  18  4 0 -2

=====

Structure and simulated PXRD pattern of MgCu2GeS4 (a PBE-relaxed structure; Cu Ka).
No peak broadening, texture or thermal motion is included.

Crystal structure
```
MgCu2GeS4
1.0
-2.6635 2.9543 5.2671
2.6635 -2.9543 5.2671
2.6635 2.9543 -5.2671
Mg Cu Ge S
1 2 1 4
Cartesian
0.0000 0.0000 0.0000
0.0000 0.0000 2.6775
0.0000 0.0000 7.8568
0.0000 2.9543 0.0000
1.4080 -1.3560 3.9308
1.2554 1.5983 1.3364
1.2554 4.3103 -1.3364
1.4080 1.3560 6.6035
```

Principal peaks in the range 10° ≤ 2θ ≤ 90°, by angle:
- 2θ 17.21, I = 132
- 2θ 18.67, I = 296
- 2θ 22.47, I = 128
- 2θ 28.21, I = 1000
- 2θ 45.87, I = 311
- 2θ 46.18, I = 307
- 2θ 48.62, I = 264
- 2θ 52.49, I = 154

Structure and simulated PXRD pattern of MgCu2GeS4 (a PBE-relaxed structure; Cu Ka).
No peak broadening, texture or thermal motion is included.

Crystal structure
```
MgCu2GeS4
1.0
7.6631 0.0000 0.0000
0.0000 6.5462 0.0000
0.0000 0.0000 6.2723
Mg Cu Ge S
2 4 2 8
Cartesian
0.0000 1.0487 0.0000
3.8316 5.4975 3.1362
1.9051 2.1239 3.1829
1.9264 4.4223 0.0468
5.7367 4.4223 0.0468
5.7580 2.1239 3.1829
0.0000 5.3971 3.1448
3.8316 1.1491 0.0086
0.0000 1.0146 2.4718
0.0000 5.3007 5.4131
1.8128 4.2970 2.3434
2.0188 2.2492 5.4795
3.8316 1.2455 2.2769
3.8316 5.5316 5.6079
........
Outside of the traditional consumer products world there are people and companies who stand out as disrupters on the sustainability stage. Interface, (a global commercial flooring company) is one such company, who have been working toward net zero carbon emissions since 1994 and will achieve this in 2020. They now have the ambitious target of what they call “Climate Take Back” where they want to reverse the effects of global warming. They have embraced sustainability at every level of their business from the beginning and are leaders in the field.
Sustainability is also about transparency. Triodos Bank are founded on the principals of transparency, fairness and sustainability – all their investments are public. They focus on ensuring money is invested in organisations or businesses that are benefitting the world – ecologically, socially etc.
Back in the realm of consumer products, Unilever has announced they are adding the carbon footprint on all their products. This will also then force their existing and potential suppliers to do the same. A ripple in a pond becomes a wave. Alongside this they are also investing in putting all their brands through B-Corp certification and committing €1billion to green recovery investments. They are leading the way in the FMCG sector.
The common thread among these leaders in sustainability is the acknowledgement of the climate crisis and their full commitment to change direction for the better of people and planet.
Within consumer products and the brand licensing industry I beg the question – are the true disruptors the ones that address the effects our encouragement of over consumption and the current broken capitalist model is having on the health of the planet and therefore us and take responsibility for this?
I will finish with a quote from Apple’s CEO, Tim Cook, (a company who changed the whole way we consume music and media.)
“If you have built a chaos factory, you can’t dodge responsibility for the chaos!”
By Trudi Bishop, Director, Bee Licensing. Trudi@beelicensing.com